Most common coverages and benefits of a Mexican insurance policy offered at BestMex
For each coverage or benefit, the terms and conditions of each insurer apply, you can see those at the following links: Mapfre, Quálitas, GNP,
Collision, Overturn, and Glass breakage
- The insurance company pays for the losses of the insured vehicle for all damages in excess of the amount of the deductible caused by: collision, overturn and/or glass breakage..
- Towing expenses are covered to move the vehicle for repairs to a place designated by the insurance company .
Total Theft, Fire and Natural Disasters
- This coverage protects your vehicle up to the declared value in case of total theft, fire, lightning, explosion and meteorological phenomena such as storms, cyclones, hurricanes and earthquakes.
Partial theft and Vandalism
Partial Theft and Vandalism are excluded in some types of Standard policies, but covered in others through a special endorsement that will be specified when printing the declaration page of the policy.. Partial theft refers to parts or accessories permanently installed in the vehicle, it does not refer to luggage or personal belongings of the occupants.
Civil Liability for damages to Third Parties
- BI / PD (Bodily injury / Property damage) – CSL (Combined single limit): Coverage for the total amounts for which the insured is legally obligated to pay damages to third parties due to bodily injury (BI) or damage to property (PD), and in some cases other damages in which the insurance policy applies.
- The occupants of the insured vehicle are excluded in this coverage.
Medical expenses
- It covers the medical expenses of the driver and the occupants of the insured vehicle in Mexico, for sustained injuries in the event of a covered loss.
- Medical Assistance is provided 24 hours a day, 365 days a year and includes the following: Medical referrals, the company will provide medical referrals within the Mexican Republic, and ambulance service, if necessary, the insurance company will provide the names and telephone numbers of the ambulance service and will arrange for the dispatch after the costs have been authorized by the insurer.
Legal Assistance
- Provides legal services and required bail payment in the event of a covered loss.
- The insurance company will assign, upon request, the services of professional lawyers and will pay for the expenses of the process.
- These services are available 24 hours a day, 365 days a year. Including a toll-free telephone line calling from Mexico for legal and assistance services.
Roadside Assistance Services
- Roadside Assistance helps you when your car breaks down. A call to the Emergency Service Line will then dispatch a service vehicle from an authorized local repair shop to assist you if your vehicle breaks down.
- The benefits for this coverage vary depending on the insurance company to be selected.
Repairs in the US or Canada
- Repairs in the US or Canada depend on the insurer and the coverage contracted.
- It will also depend on the conditions in which the vehicle is located to be moved to the US or Canada
Driver without insurance
- In case of an accident where the driver of the other vehicle is not insured; all the Mexican insurers available will make the policy effective covering the damages according to the limits contracted in your policy.
- In case of a claim where the payment of a bond is involved; all Mexican insurers available cover it.
Car Rental
# 1
The following is a DFT calculation (ωB97M-V/def2-TZVPD) of a structure of composition C24H28GeIN2O2SZn.

Values from the calculation:
LUMO level = 2.326 eV
HOMO-LUMO gap = 6.96 eV
HOMO level = -0.1703 Eh
net charge = -1

Last column: Mulliken charge in e.
Element x y z (Å)
Zn 0.609 0.155 0.264  1.24
C 0.087 2.254 4.348  -1.01
C -0.693 0.988 4.176  0.80
N -1.621 0.690 5.047  -0.71
C -2.325 -0.454 4.886  -0.84
C -2.114 -1.329 3.856  0.45
C -2.932 -2.589 3.804  -0.81
O -2.167 -3.763 4.100  -0.54
C -1.117 -1.031 2.888  -0.33
C -0.870 -1.990 1.835  0.35
N -0.098 -1.814 0.833  -0.02
C 0.029 -2.839 -0.123  -0.84
C -0.874 -2.894 -1.182  0.30
C -0.720 -3.832 -2.191  -0.77
C 0.346 -4.717 -2.157  -0.56
C 1.252 -4.667 -1.108  -0.33
C 1.098 -3.733 -0.094  0.28
I 2.475 -3.666 1.468  0.07
C -0.377 0.166 3.026  0.47
O 0.553 0.567 2.246  -1.28
H -0.210 2.738 5.275  0.38
H -0.089 2.927 3.506  0.10
H 1.159 2.049 4.351  0.30
H -3.089 -0.656 5.629  0.32
H -3.372 -2.737 2.815  0.33
H -3.754 -2.508 4.520  0.34
H -1.378 -3.482 4.573  0.39
H -1.384 -2.949 1.931  0.57
H -1.676 -2.168 -1.207  0.42
H -1.427 -3.860 -3.010  0.37
H 0.483 -5.441 -2.949  0.38
H 2.091 -5.349 -1.078  0.35
C -0.032 3.202 -2.976  -0.79
Ge -0.478 2.918 -1.086  0.20
C -1.979 4.125 -0.649  -1.26
C 1.051 3.523 -0.007  -0.89
C -0.909 1.065 -0.718  -1.12
H 0.228 4.245 -3.169  0.37
H -0.883 2.936 -3.606  0.34
H 0.813 2.575 -3.263  0.01
H -1.718 5.169 -0.837  0.35
H -2.246 4.023 0.405  0.33
H -2.857 3.874 -1.247  0.36
H 1.235 4.592 -0.129  0.41
H 1.951 2.974 -0.295  0.24
H 0.869 3.316 1.051  0.13
H -1.175 0.564 -1.654  0.43
H -1.792 1.033 -0.069  0.60
S 2.795 -0.116 -0.450  -0.54
C 2.606 0.231 -2.174  -0.01
C 1.615 -0.378 -2.951  0.12
C 1.509 -0.123 -4.309  -0.64
C 2.391 0.748 -4.936  -0.45
C 3.373 1.369 -4.176  -0.53
C 3.475 1.119 -2.814  -0.51
H 0.927 -1.066 -2.475  0.26
H 0.728 -0.611 -4.882  0.35
H 2.307 0.950 -5.996  0.34
H 4.063 2.062 -4.643  0.33
H 4.236 1.614 -2.224  0.37

Atomic forces in eV per Å
0.027 0.070 -0.128
-0.016 0.014 0.000
-0.035 0.028 0.064
0.048 0.049 -0.001
-0.020 -0.045 -0.011
-0.014 0.019 0.018
-0.005 0.010 0.049
0.022 -0.012 -0.089
-0.073 -0.112 0.022
-0.144 -0.106 0.104
0.065 0.092 0.000
0.045 0.005 -0.046
0.000 -0.025 -0.001
-0.014 0.022 0.002
0.013 -0.015 -0.008
0.040 -0.026 0.010
-0.018 0.040 -0.041
-0.030 -0.012 -0.007
0.214 0.085 -0.089
-0.119 -0.028 0.052
0.003 0.005 0.000
0.007 -0.009 0.002
-0.001 -0.008 0.000
0.000 0.006 0.004
0.003 -0.039 0.016
-0.007 0.031 0.003
-0.025 0.006 0.036
0.021 -0.004 -0.008
-0.003 0.002 -0.001
0.000 0.005 0.003
0.001 -0.002 0.006
-0.007 -0.007 -0.002
-0.022 -0.017 -0.029
0.035 0.022 0.032
-0.019 -0.008 0.009
0.000 -0.011 0.012
0.031 -0.034 0.040
-0.001 0.000 0.015
0.014 0.006 -0.010
0.024 -0.017 -0.014
0.003 -0.002 -0.003
-0.005 0.003 -0.005
-0.002 0.004 0.003
-0.010 -0.002 -0.008
-0.004 0.000 -0.002
0.004 0.004 -0.011
0.021 0.017 -0.012
0.006 -0.011 -0.002
-0.029 0.015 -0.024
-0.061 0.038 0.035
0.008 -0.039 0.004
0.017 0.021 -0.014
- The rental car paid by the insurer in case of an accident depends on the insurer and the coverage contracted.
- Please go to the quotes page to find out which insurers cover this point.
Transportation by Emergencies
- The emergency transportation paid by the insurer in the event of an accident depends on the insurer and the contracted coverage.
- Please enter the quotes page to find out which insurers cover this point.
Tickets back home
- The return home tickets paid by the insurer in case of a claim depends on the insurer and the coverage contracted.
- Please go to the quotes page to find out which insurers cover this point.
Important Notes
For complete definitions of coverage and exclusions, please refer to the General Conditions of each insurer that you can see in the following links: Mapfre, Quálitas, GNP,
HDI. - Some insurers do not offer roadside assistance coverage, please see notes on the quotes page.
Frequent Questions
Restrictions on Collision and Total Theft coverage
- Vehicles valued below $ 3,000 or more than $ 80,000; or vehicles more than 15 years old, cannot be covered with collision coverage and total theft, depending on the Insurance company…. these rules may vary.
Here the page breaks off for quantum chemistry results:
8
Properties=species:S:1:pos:R:3 method="wB97M-V/def2-TZVPD" orbital_gap_ev=8.00 total_energy_ha=-2761.43096
C 0.510 0.602 0.986
C -0.775 0.206 0.473
N 1.635 -1.674 -1.067
N 1.143 -1.982 -2.000
Br 0.790 2.388 0.903
H -1.008 -0.964 0.593
H -0.744 0.533 -0.692
H -1.552 0.891 0.803

9
Properties=species:S:1:pos:R:3 method="wB97M-V/def2-TZVPD" orbital_gap_ev=9.49 total_energy_ha=-3159.67280
Br -0.253 -2.545 -1.081
C -0.442 -0.692 -0.590
N -1.607 -0.282 -0.368
S -1.498 1.241 0.484
N 0.168 0.976 0.937
C 0.714 0.239 -0.145
H 0.284 0.284 1.667
H 1.737 -0.110 0.077
H 0.897 0.889 -0.982

9
Properties=species:S:1:pos:R:3 method="wB97M-V/def2-TZVPD" orbital_gap_ev=10.14 total_energy_ha=-3159.62339
C 0.565 2.307 0.317
N -0.530 1.749 0.358
Br -2.015 2.457 -0.555
H 1.206 1.834 1.044
H 0.819 3.204 -0.376
N 1.074 -1.602 0.028
C 0.529 -2.581 -0.135
S -0.306 -3.847 -0.692
H -1.342 -3.520 0.011

8
Properties=species:S:1:pos:R:3 method="wB97M-V/def2-TZVPD" orbital_gap_ev="7.08 / 7.00" total_energy_ha=-3125.35902
C 0.583 0.828 -0.075
C 0.781 -0.571 0.222
O 0.855 1.345 -1.135
S -1.626 -1.346 -0.221
Br -2.775 0.439 -0.266
H 0.177 1.424 0.759
H 1.233 -1.202 -0.526
H 0.772 -0.916 1.241

7
Properties=species:S:1:pos:R:3 method="wB97M-V/def2-TZVPD" orbital_gap_ev="8.45 / 8.45" total_energy_ha=-3050.16938
C -0.646 0.269 0.004
C 0.667 -0.367 0.103
S 0.949 -1.997 -0.093
Br 2.067 1.050 0.079
H -1.008 0.479 1.066
H -1.387 -0.504 -0.423
H -0.642 1.070 -0.736

7
Properties=species:S:1:pos:R:3 method="wB97M-V/def2-TZVPD" orbital_gap_ev="6.78 / 6.80" total_energy_ha=-2941.22729
C -0.387 1.198 -0.019
C 1.046 -0.447 -0.295
Si -0.786 -0.623 0.028
Br 2.701 0.101 0.022
H 0.318 1.945 0.366
H -1.160 -1.554 1.042
H -1.732 -0.619 -1.143

7
Properties=species:S:1:pos:R:3 method="wB97M-V/def2-TZVPD" orbital_gap_ev="6.02 / 9.80" total_charge=+3 s_squared=2.017 multiplicity=3 total_energy_ha=-626.76843
O -0.170 -0.989 -0.866
Ce -1.564 0.287 0.573
H -0.237 -1.930 -1.083
C 1.138 -0.237 -1.520
C 1.195 0.100 -0.177
H 0.928 -0.091 -2.594
H 2.209 -0.332 -1.785

6
Properties=species:S:1:pos:R:3 method="wB97M-V/def2-TZVPD" orbital_gap_ev="9.35 / 5.91" total_energy_ha=-538.00687
C 0.311 0.401 0.034
C -0.423 -0.606 -0.125
Cl -3.468 -0.269 0.148
H 1.484 0.230 -0.123
H 0.077 1.229 0.729
H -1.454 -0.761 -0.195

10
Properties=species:S:1:pos:R:3 method="wB97M-V/def2-TZVPD" orbital_gap_ev="8.33 / 8.44" total_energy_ha=-1539.30926
C -1.368 -0.609 -0.789
C 0.501 0.855 -0.001
F 1.048 1.403 -1.134
F 0.002 1.870 0.743
P 1.294 -0.590 0.708
Cl -2.958 -0.125 -0.658
Cl -0.911 -2.016 -0.070
H -0.812 -0.309 -1.716
H 0.755 -0.441 1.950
H 2.449 -0.038 0.967

14
Properties=species:S:1:pos:R:3 method="wB97M-V/def2-TZVPD" orbital_gap_ev="6.58 / 6.57" total_charge=-1 total_energy_ha=-2175.07882
C 1.574 -0.809 0.558
C 0.058 2.128 -1.166
N 0.465 0.135 0.934
O -2.964 -0.811 0.814
O -1.450 -2.447 1.923
O -1.684 -2.273 -0.520
F 1.195 2.291 -1.933
S 0.559 1.714 0.619
S -1.831 -1.681 0.767
Cl -0.912 0.831 -1.881
The page goes on:
Restrictions on coverage for Medical Expenses for a motorcycle
- Motorcycles cannot be covered for Medical Expenses coverage.
Deductible of the policy, how much do I have to pay?
- The deductible is the amount that the insured is required to pay to the insurer in case of loss. All insurers offered by have an established deductible.
For the Standard type of policy, the deductible for material damage is a % of the current value of the insured vehicle, usually 2% with a minimum of $ 500 dollars and for total theft coverage it is also a % of the current value of the insured vehicle usually 5% with a minimum of $ 1,000.
For the types of policies (Max, VIP, Premier, Extended) the deductible is fixed, it will never change and in general the deductible for material damage coverage is $ 500 and for total theft coverage is $ 1,000.
- The deductible must be paid in the case of physical damage at the time of repair and in the case of total theft, this will be deducted from the payment of your vehicle.
Number of events covered by the policy.
- During the covered policy term, all events caused by collision, total theft, as well as civil liability, medical expenses and legal assistance are covered with the applicable deductible, if any, per event.
Number of events covered by the policy for roadside assistance coverage on the road.
- The coverage of roadside assistance varies depending on the insurer that is selected.
- If the policy is short term (it is not an annual policy), only one event may be covered during the term of the policy.
- If the policy is annual, 2 or 3 events may be covered during the term of the policy.
Cancellation of the policy before the start date.
- Canceling the policy is very simple! Visit our BestMex page in the “My Account” section.
- When you cancel before the policy goes into effect, you will receive a refund of 100% of the net premium of your policy.
- If the user cancels the policy from BestMex.com the policy free is NOT refundable. If the insured requests cancellation in writing, we and the insurer will analyze the request and depending on the case, 100% of the payment made will be reimbursed, including the policy fee. For written cancellation requests send an email to: service@bestmex.com and / or fax 888-329-6942, explaining the reason and your contact information. We suggest submitting your request on business days (Monday to Friday) and within office hours (9 a.m. to 6 p.m. CST), otherwise your request will be answered until the next business day.
- Important Note: Cancellations of policies paid by credit or debit card, processed with Stripe, can take between five to ten days for the refund to show on the client’s statements.
Cancellation of the policy after the start date.
- The first step to cancel a policy that has already started is to send your cancellation request to the email service@bestmex.com and / or fax 888-329-6942, explaining the reason and your contact information. We suggest sending your request on business days (Monday to Friday) and within office hours (9 a.m. to 6:00 p.m. CST), otherwise your request will be answered until the next business day.
- We, together with the insurer, will analyze if the contracted policy may be cancelled, and a response is given.
- If the cancellation applies to your policy, you should consider that there are conditions and restrictions depending on two variables: Type of contracted policy and insurer contracted.
- The days elapsed since the beginning of the policy as they are taken into consideration.
- The refund is calculated according to the premium on the number of days used.
- If you need help with your cancellation, you can call toll-free at 888.734.8760 within our office hours.
Important Note: Cancellations of policies paid by credit or debit card, processed with Stripe, can take between five to ten days for the refund to show on the client’s statements.
Adding additional days to your policy.
- It is very simple!
- Simply log in BestMex.com system and buy a policy for the number of additional days you need.
Personal Items inside the vehicle are NOT covered.
- No policy covers personal items inside the vehicle in the event of a loss.
The policy DOES cover other drivers in case of accident.
As long as the following conditions are met:
1. Comply with the conditions established in the Temporary Vehicle Import Permit with respect to the persons authorized to drive.
For vehicles imported by Mexicans residing abroad:
- By the importer, his / her spouse, parents, children or siblings as long as they are residents abroad
- By a foreigner with visitor status, temporary resident and temporary resident student.
- Or by someone other than those authorized as long as the person who imported the vehicle is on board.
For vehicles imported by foreigners:
Here the piece breaks off for calculated molecules >
____________
{
  "formula": "C11H27N5O13",
  "method": "wB97M-V/def2-TZVPD",
  "symbols": ["C", "N", "O", "O", "H", "H", "H", "C", "N", "O", "O", "H", "H", "H", "C", "N", "O", "O", "H", "H", "H", "C", "N", "O", "O", "H", "H", "H", "C", "N", "O", "O", "H", "H", "H", "C", "O", "C", "O", "C", "C", "C", "C", "O", "H", "H", "H", "H", "H", "H", "H", "H", "H", "H", "H", "H"],
  "positions_angstrom": [[-3.3465, 1.7900, 2.7147], [-2.6360, 0.9685, 1.7001], [-3.1389, -0.0735, 1.3368], [-1.5764, 1.3963, 1.2853], [-4.2740, 1.2948, 2.9701], [-2.6791, 1.8924, 3.5652], [-3.5228, 2.7622, 2.2662], [2.2550, 1.1981, 0.3807], [2.0179, 0.8390, 1.8025], [2.0730, -0.3301, 2.1178], [1.7769, 1.7526, 2.5714], [2.4944, 0.2915, -0.1605], [1.3504, 1.6662, 0.0027], [3.0796, 1.9002, 0.3608], [-6.0349, 3.7945, -0.4028], [-6.2740, 3.4607, 1.0300], [-6.1427, 2.3024, 1.3724], [-6.5819, 4.3749, 1.7630], [-5.7709, 2.8822, -0.9226], [-6.9517, 4.2327, -0.7849], [-5.2364, 4.5298, -0.4302], [4.0285, -0.3644, -3.3566], [4.0782, 1.0840, -3.0244], [3.1292, 1.5520, -2.4222], [5.0739, 1.6963, -3.3392], [3.0821, -0.7568, -3.0020], [4.1392, -0.4727, -4.4308], [4.8723, -0.8218, -2.8479], [4.9729, 2.9644, 3.0571], [5.6490, 2.1203, 2.0307], [5.0821, 1.1070, 1.6682], [6.7242, 2.4999, 1.6248], [4.0271, 2.5023, 3.3137], [5.6466, 3.0283, 3.9060], [4.8386, 3.9483, 2.6176], [1.4149, -2.9624, -0.0274], [1.5442, -2.1354, -1.1829], [0.4496, -1.7572, -1.8868], [0.5175, -1.7522, -3.0874], [-0.7324, -1.2354, -1.1182], [-1.7100, -2.2439, -0.5042], [-2.1553, -3.3569, -1.4628], [-1.9868, -4.7482, -0.8818], [-2.1802, -5.7794, -1.8343], [2.4217, -3.0990, 0.3515], [1.0001, -3.9295, -0.3087], [0.8118, -2.4972, 0.7508], [-1.2824, -0.6480, -1.8520], [-0.3766, -0.5486, -0.3479], [-1.3167, -2.6653, 0.4213], [-2.5660, -1.6492, -0.2091], [-1.6188, -3.3002, -2.4139], [-3.2090, -3.2280, -1.7124], [-1.0066, -4.8429, -0.3990], [-2.7402, -4.9260, -0.1146], [-1.5038, -5.7077, -2.5139]],
  "lumo_energy_ha": -0.0061,
  "gap_ev": 10.07,
  "smiles": "C[N+](=O)[O-].C[N+](=O)[O-].C[N+](=O)[O-].C[N+](=O)[O-].C[N+](=O)[O-].COC(=O)CCCCO",
  "e_tot_ha": -1686.741481,
  "relative_energy_kcal_mol": 0.0,
  "homo_ev": -10.237
}


1.
Entry from the OMol25 dataset: a 2-piece molecular cluster, C4H11NS overall (the ωB97M-V functional and the def2-TZVPD basis).

Last column: natural (NBO) charge in e.
Positions of all 17 atoms, in Å:
C -1.183 0.970 -0.837  -0.6450
C -2.647 -1.280 -0.953  -0.6309
C 3.260 -1.588 -1.966  -0.8685
C -1.277 -0.601 -0.835  -0.3839
N -0.413 -0.139 1.836  -0.7203
S -0.893 -1.235 1.004  0.8609
H -1.690 1.510 0.074  0.2287
H -0.117 1.193 -0.821  0.2276
H -1.759 1.443 -1.675  0.2207
H -3.329 -0.953 -0.305  0.2060
H -2.397 -2.395 -0.842  0.2074
H -3.155 -1.108 -1.897  0.2207
H 3.807 -0.925 -1.277  0.2220
H 2.825 -1.055 -2.791  0.2167
H 4.025 -2.429 -2.128  0.2189
H -0.534 -1.052 -1.454  0.2081
H 2.452 -2.204 -1.589  0.2111

## Properties
Net charge ... 0
____________
The piece goes on >
- By the importer, his / her spouse, parents, children or siblings even when they are not foreigners.
- By a foreigner with visitor status, temporary resident and temporary resident student.
- Or by any person as long as any of the persons authorized to drive said vehicle travel on board.
2. In the case of MAPFRE, HDI and GNP insurance companies, the driver must have a driver’s license from any country that is current and valid, issued by a competent authority and that said license is of the appropriate type (plates and use) for driving the insured vehicle.
In the case of the QUALITAS insurer, the driver must have a driver’s license issued by the competent and corresponding authority of the country of registration of the unit, which is current and valid and that said license is of the appropriate type (plates and use ) to drive the insured vehicle. Note: Driving permits issued in accordance with the provisions of the corresponding Traffic Regulations will be considered as licenses.
Information that is required for the purchase of a policy.
Before starting the purchase of the policy at BestMex.com, please have the vehicle registration, the name of the finance company in case you are paying for the vehicle and the names of additional drivers that you want to show in the policy to other drivers.
- For the payment of the policy you will need a credit card.
Estimated cost of Mexican auto insurance
- The cost is calculated taking into account the number of days of coverage, cost and type of vehicle and other details that differ for each insurance company. However, remember that depending on the length of your stay, it could be less expensive to buy a six months or a year instead of a policy for days.
- The BestMex.com system will show you all the quotes available for your situation.
On-Road Assistance Service How and when to use it?
- The Assistance Service on the Road helps you when your car breaks down during your trip. When calling your insurer’s Emergency Service Line, they will send a service vehicle from an authorized local repair shop to help you repair the fault or damage to your car. The benefits for this coverage vary depending on the company to be selected.
- Note: Vehicles valued at less than $ 3,000 dollars or more than $ 80,000 dollars, as well as vehicles with more than 15 years old, can not be protected with collision and total theft coverage. Depending on the insurance provider these rules may vary. Motorcycles do not have Medical Expenses coverage.
For complete definitions of coverages and exclusions, please refer to the information in the General Conditions of your policy depending on the provider.